Brief.
The reader should copy the whole of the calculation results further below unchanged.

Material.
1.
Here is a relaxed structure of Hf2AlRh from the Alexandria database. Energies are from PBE-GGA.

a = 4.382 Å, b = 4.382 Å, c = 5.335 Å
α = 65.74°, β = 65.74°, γ = 59.98°
Element x y z (fractional)
Hf (0.026, 0.026, 0.922)
Hf (0.232, 0.232, 0.305)
Rh (0.437, 0.437, 0.689)
Al (0.805, 0.805, 0.585)

Calculated values
calculated density = 10.35 g/cm³
SG = R3m
DFT formation energy = -0.42 eV/atom

2.
Here is a relaxed structure of Li8ThSe6 from the Alexandria database. Energies are from PBE-GGA.

a = 7.245 Å, b = 7.245 Å, c = 8.012 Å
α = 63.12°, β = 63.12°, γ = 60.00°
Element x y z (fractional)
Li (0.118, 0.470, 0.629)
Se (0.592, 0.915, 0.245)
Se (0.915, 0.249, 0.245)
Li (0.784, 0.118, 0.629)
Se (0.408, 0.085, 0.755)
Li (0.882, 0.530, 0.371)
Se (0.751, 0.408, 0.755)
Li (0.216, 0.882, 0.371)
Li (0.530, 0.216, 0.371)
Li (0.470, 0.784, 0.629)
Th (0.000, 0.000, 0.000)
Se (0.249, 0.592, 0.245)
Se (0.085, 0.751, 0.755)
Li (0.336, 0.336, 0.993)
Li (0.664, 0.664, 0.007)

Calculated values
calculated density = 4.07 g/cm³
SG = R-3
formation energy without anion corrections = -20.35 eV per formula unit

3.
Here is a relaxed structure of NiSnSb2 from the Alexandria database. Energies are from PBE-GGA.

a = 3.744 Å, b = 6.368 Å, c = 8.066 Å
α = 90.00°, β = 90.00°, γ = 107.83°
Element x y z (fractional)
Sb (0.645, 0.302, 0.443)
Ni (0.259, 0.520, 0.250)
Ni (0.741, 0.480, 0.750)
Sb (0.645, 0.302, 0.057)
Sn (0.943, 0.865, 0.250)
Sb (0.355, 0.698, 0.943)
Sb (0.355, 0.698, 0.557)
Sn (0.057, 0.135, 0.750)

Calculated values
calculated density = 7.64 g/cm³
SG = P2_1/m
formation energy without anion corrections = 0.01 eV per formula unit

4.
Here is a relaxed structure of CdAsP2 from the Alexandria database. Energies are from PBE-GGA.

a = 3.348 Å, b = 4.663 Å, c = 4.661 Å
α = 90.00°, β = 90.00°, γ = 90.00°
Element x y z (fractional)
As (0.500, 0.000, 0.500)
P (0.000, 0.000, 0.000)
Cd (0.000, 0.500, 0.500)
P (0.500, 0.500, 0.000)

Calculated values
calculated density = 5.69 g/cm³
SG = Pmmm
ΔE to the lowest computed polymorph = 464 meV/atom
DFT formation energy = 0.61 eV/atom

5.
Here is a relaxed structure of La2AgO from the Alexandria database. Energies are from PBE-GGA.

a = 3.902 Å, b = 3.902 Å, c = 7.546 Å
α = 75.02°, β = 75.02°, γ = 60.00°
Element x y z (fractional)
La (0.271, 0.271, 0.188)
O (0.000, 0.000, 0.000)
La (0.729, 0.729, 0.812)
Ag (0.500, 0.500, 0.500)

Calculated values
calculated density = 7.02 g/cm³
SG = R-3m
formation energy without anion corrections = -5.44 eV per formula unit

6.
Here is a relaxed structure of HfAsPbO6 from the Alexandria database. Energies are from PBE-GGA.

a = 5.317 Å, b = 5.317 Å, c = 9.848 Å
α = 90.00°, β = 90.00°, γ = 120.00°
Element x y z (fractional)
Hf (0.333, 0.667, 0.750)
Hf (0.667, 0.333, 0.250)
Pb (0.000, 0.000, 0.000)
As (0.667, 0.333, 0.750)
O (0.389, 0.359, 0.856)
O (0.970, 0.359, 0.644)
O (0.389, 0.030, 0.644)
As (0.333, 0.667, 0.250)
O (0.611, 0.641, 0.144)
O (0.970, 0.611, 0.856)
O (0.359, 0.389, 0.356)
O (0.030, 0.641, 0.356)
O (0.611, 0.970, 0.356)
O (0.359, 0.970, 0.144)
O (0.030, 0.389, 0.144)
O (0.641, 0.030, 0.856)
O (0.641, 0.611, 0.644)
Pb (0.000, 0.000, 0.500)

Calculated values
calculated density = 7.67 g/cm³
SG = P-31c
formation energy without anion corrections = -16.57 eV per formula unit

7.
Here is a relaxed structure of Ag8PdAu6 from the Alexandria database. Energies are from PBE-GGA.

a = 7.913 Å, b = 7.913 Å, c = 7.913 Å
α = 52.50°, β = 52.50°, γ = 52.50°
Element x y z (fractional)
Pd (0.000, 0.000, 0.000)
Au (0.617, 0.138, 0.363)
Au (0.383, 0.862, 0.637)
Ag (0.123, 0.632, 0.848)
Ag (0.877, 0.368, 0.152)
Ag (0.750, 0.750, 0.750)
Au (0.363, 0.617, 0.138)
Ag (0.250, 0.250, 0.250)
Au (0.138, 0.363, 0.617)
Au (0.862, 0.637, 0.383)
Ag (0.848, 0.123, 0.632)
Au (0.637, 0.383, 0.862)
Ag (0.632, 0.848, 0.123)
Ag (0.152, 0.877, 0.368)
Ag (0.368, 0.152, 0.877)

Calculated values
calculated density = 12.37 g/cm³
SG = R-3
ΔE to the lowest computed polymorph = 99 meV/atom

Written answer.
1.
Here is a relaxed structure of Hf2AlRh from the Alexandria database. Energies are from PBE-GGA.

a = 4.382 Å, b = 4.382 Å, c = 5.335 Å
α = 65.74°, β = 65.74°, γ = 59.98°
Element x y z (fractional)
Hf (0.026, 0.026, 0.922)
Hf (0.232, 0.232, 0.305)
Rh (0.437, 0.437, 0.689)
Al (0.805, 0.805, 0.585)

Calculated values
calculated density = 10.35 g/cm³
SG = R3m
DFT formation energy = -0.42 eV/atom

2.
Here is a relaxed structure of Li8ThSe6 from the Alexandria database. Energies are from PBE-GGA.

a = 7.245 Å, b = 7.245 Å, c = 8.012 Å
α = 63.12°, β = 63.12°, γ = 60.00°
Element x y z (fractional)
Li (0.118, 0.470, 0.629)
Se (0.592, 0.915, 0.245)
Se (0.915, 0.249, 0.245)
Li (0.784, 0.118, 0.629)
Se (0.408, 0.085, 0.755)
Li (0.882, 0.530, 0.371)
Se (0.751, 0.408, 0.755)
Li (0.216, 0.882, 0.371)
Li (0.530, 0.216, 0.371)
Li (0.470, 0.784, 0.629)
Th (0.000, 0.000, 0.000)
Se (0.249, 0.592, 0.245)
Se (0.085, 0.751, 0.755)
Li (0.336, 0.336, 0.993)
Li (0.664, 0.664, 0.007)

Calculated values
calculated density = 4.07 g/cm³
SG = R-3
formation energy without anion corrections = -20.35 eV per formula unit

3.
Here is a relaxed structure of NiSnSb2 from the Alexandria database. Energies are from PBE-GGA.

a = 3.744 Å, b = 6.368 Å, c = 8.066 Å
α = 90.00°, β = 90.00°, γ = 107.83°
Element x y z (fractional)
Sb (0.645, 0.302, 0.443)
Ni (0.259, 0.520, 0.250)
Ni (0.741, 0.480, 0.750)
Sb (0.645, 0.302, 0.057)
Sn (0.943, 0.865, 0.250)
Sb (0.355, 0.698, 0.943)
Sb (0.355, 0.698, 0.557)
Sn (0.057, 0.135, 0.750)

Calculated values
calculated density = 7.64 g/cm³
SG = P2_1/m
formation energy without anion corrections = 0.01 eV per formula unit

4.
Here is a relaxed structure of CdAsP2 from the Alexandria database. Energies are from PBE-GGA.

a = 3.348 Å, b = 4.663 Å, c = 4.661 Å
α = 90.00°, β = 90.00°, γ = 90.00°
Element x y z (fractional)
As (0.500, 0.000, 0.500)
P (0.000, 0.000, 0.000)
Cd (0.000, 0.500, 0.500)
P (0.500, 0.500, 0.000)

Calculated values
calculated density = 5.69 g/cm³
SG = Pmmm
ΔE to the lowest computed polymorph = 464 meV/atom
DFT formation energy = 0.61 eV/atom

5.
Here is a relaxed structure of La2AgO from the Alexandria database. Energies are from PBE-GGA.

a = 3.902 Å, b = 3.902 Å, c = 7.546 Å
α = 75.02°, β = 75.02°, γ = 60.00°
Element x y z (fractional)
La (0.271, 0.271, 0.188)
O (0.000, 0.000, 0.000)
La (0.729, 0.729, 0.812)
Ag (0.500, 0.500, 0.500)

Calculated values
calculated density = 7.02 g/cm³
SG = R-3m
formation energy without anion corrections = -5.44 eV per formula unit

6.
Here is a relaxed structure of HfAsPbO6 from the Alexandria database. Energies are from PBE-GGA.

a = 5.317 Å, b = 5.317 Å, c = 9.848 Å
α = 90.00°, β = 90.00°, γ = 120.00°
Element x y z (fractional)
Hf (0.333, 0.667, 0.750)
Hf (0.667, 0.333, 0.250)
Pb (0.000, 0.000, 0.000)
As (0.667, 0.333, 0.750)
O (0.389, 0.359, 0.856)
O (0.970, 0.359, 0.644)
O (0.389, 0.030, 0.644)
As (0.333, 0.667, 0.250)
O (0.611, 0.641, 0.144)
O (0.970, 0.611, 0.856)
O (0.359, 0.389, 0.356)
O (0.030, 0.641, 0.356)
O (0.611, 0.970, 0.356)
O (0.359, 0.970, 0.144)
O (0.030, 0.389, 0.144)
O (0.641, 0.030, 0.856)
O (0.641, 0.611, 0.644)
Pb (0.000, 0.000, 0.500)

Calculated values
calculated density = 7.67 g/cm³
SG = P-31c
formation energy without anion corrections = -16.57 eV per formula unit

7.
Here is a relaxed structure of Ag8PdAu6 from the Alexandria database. Energies are from PBE-GGA.

a = 7.913 Å, b = 7.913 Å, c = 7.913 Å
α = 52.50°, β = 52.50°, γ = 52.50°
Element x y z (fractional)
Pd (0.000, 0.000, 0.000)
Au (0.617, 0.138, 0.363)
Au (0.383, 0.862, 0.637)
Ag (0.123, 0.632, 0.848)
Ag (0.877, 0.368, 0.152)
Ag (0.750, 0.750, 0.750)
Au (0.363, 0.617, 0.138)
Ag (0.250, 0.250, 0.250)
Au (0.138, 0.363, 0.617)
Au (0.862, 0.637, 0.383)
Ag (0.848, 0.123, 0.632)
Au (0.637, 0.383, 0.862)
Ag (0.632, 0.848, 0.123)
Ag (0.152, 0.877, 0.368)
Ag (0.368, 0.152, 0.877)

Calculated values
calculated density = 12.37 g/cm³
SG = R-3
ΔE to the lowest computed polymorph = 99 meV/atom